HB 1553 2003
1 A bill to be entitled
2          An act relating to complaints against health care
3    practitioners; amending s. 456.073, F.S.; providing that a
4    state prisoner must exhaust all available administrative
5    remedies before filing a complaint with the Department of
6    Health against a health care practitioner who is providing
7    health care services within the Department of Corrections;
8    providing an effective date.
10          Be It Enacted by the Legislature of the State of Florida:
12          Section 1. Subsection (1) of section 456.073, Florida
13    Statutes, is amended to read:
14          456.073 Disciplinary proceedings.--Disciplinary
15    proceedings for each board shall be within the jurisdiction of
16    the department.
17          (1) The department, for the boards under its jurisdiction,
18    shall cause to be investigated any complaint that is filed
19    before it if the complaint is in writing, signed by the
20    complainant, and legally sufficient. A complaint filed by a
21    state prisoner against a health care practitioner employed by or
22    otherwise providing health care services within a facility of
23    the Department of Corrections is not legally sufficient unless
24    there is a showing that the prisoner complainant has exhausted
25    all available administrative remedies within the state
26    correctional system before filing the complaint.A complaint is
27    legally sufficient if it contains ultimate facts that show that
28    a violation of this chapter, of any of the practice acts
29    relating to the professions regulated by the department, or of
30    any rule adopted by the department or a regulatory board in the
31    department has occurred. In order to determine legal
32    sufficiency, the department may require supporting information
33    or documentation. The department may investigate, and the
34    department or the appropriate board may take appropriate final
35    action on, a complaint even though the original complainant
36    withdraws it or otherwise indicates a desire not to cause the
37    complaint to be investigated or prosecuted to completion. The
38    department may investigate an anonymous complaint if the
39    complaint is in writing and is legally sufficient, if the
40    alleged violation of law or rules is substantial, and if the
41    department has reason to believe, after preliminary inquiry,
42    that the violations alleged in the complaint are true. The
43    department may investigate a complaint made by a confidential
44    informant if the complaint is legally sufficient, if the alleged
45    violation of law or rule is substantial, and if the department
46    has reason to believe, after preliminary inquiry, that the
47    allegations of the complainant are true. The department may
48    initiate an investigation if it has reasonable cause to believe
49    that a licensee or a group of licensees has violated a Florida
50    statute, a rule of the department, or a rule of a board. Except
51    as provided in ss. 458.331(9), 459.015(9), 460.413(5), and
- - -
Entry i
The following is a DFT calculation (PBE-GGA) of a relaxed Pr6NdEr3 crystal.

## Properties
The value obtained for the density of states at the Fermi level is 28.3 states/eV per cell.

Unit cell a=6.428 b=11.170 c=11.170 alpha=120.68 beta=90.00 gamma=90.00
Sites, in units of the cell vectors:
Er 0.463 0.290 0.058
Nd 0.108 0.193 0.807
Er 0.963 0.058 0.290
Er 0.463 0.942 0.710
Nd 0.608 0.807 0.193
Er 0.091 0.384 0.616
Pr 0.371 0.059 0.476
Pr 0.871 0.476 0.059
Pr 0.152 0.718 0.282
Pr 0.871 0.941 0.524
Er 0.591 0.616 0.384
Pr 0.050 0.709 0.630
Pr 0.868 0.035 0.965
Pr 0.368 0.965 0.035
Pr 0.371 0.524 0.941
Pr 0.050 0.370 0.291
Er 0.963 0.710 0.942
Pr 0.550 0.630 0.709
Pr 0.550 0.291 0.370
Pr 0.652 0.282 0.718


Entry ii
The following is a DFT calculation (PBE-GGA) of a relaxed Pr6NdEr3 crystal.

## Properties
The value obtained for the density of states at the Fermi level is 29.8 states/eV per cell.

Unit cell a=6.525 b=11.860 c=11.860 alpha=130.78 beta=90.00 gamma=90.00
Sites, in units of the cell vectors:
Nd 0.511 0.846 0.154
Pr 0.828 0.892 0.455
Er 0.488 0.296 0.041
Pr 0.328 0.455 0.892
Pr 0.078 0.381 0.262
Er 0.488 0.959 0.704
Er 0.988 0.041 0.296
Pr 0.782 0.014 0.986
Pr 0.806 0.299 0.701
Pr 0.578 0.262 0.381
Pr 0.306 0.701 0.299
Pr 0.328 0.108 0.545
Er 0.598 0.581 0.419
Pr 0.578 0.619 0.738
Er 0.988 0.704 0.959
Nd 0.011 0.154 0.846
Pr 0.282 0.986 0.014
Pr 0.828 0.545 0.108
Er 0.098 0.419 0.581
Pr 0.078 0.738 0.619


Most stable one: entry ii, least stable one: entry i.


Entry i
The following is a DFT calculation (PBE-GGA) of a relaxed PrNd3Er7 crystal.

## Properties
The value obtained for the density of states at the Fermi level is 17.1 states/eV per cell.

Unit cell a=6.658 b=8.634 c=6.519 alpha=81.06 beta=94.92 gamma=81.11
Sites, in units of the cell vectors:
Nd 0.500 0.000 0.000
Er 0.738 0.586 0.986
Er 0.293 0.143 0.443
Er 0.222 0.783 0.730
Nd 0.936 0.159 0.797
Er 0.262 0.414 0.014
Pr 0.500 0.500 0.500
Er 0.707 0.857 0.557
Nd 0.064 0.841 0.203
Er 0.000 0.500 0.500
Er 0.778 0.217 0.270


Entry ii
The following is a DFT calculation (PBE-GGA) of a relaxed PrNd3Er7 crystal.

## Properties
The value obtained for the density of states at the Fermi level is 15.7 states/eV per cell.

Unit cell a=5.840 b=8.447 c=8.447 alpha=83.37 beta=110.19 gamma=110.19
Sites, in units of the cell vectors:
Er 0.289 0.596 0.982
Nd 0.500 0.000 0.000
Nd 0.000 0.211 0.789
Er 0.796 0.795 0.795
Er 0.289 0.982 0.596
Er 0.204 0.205 0.205
Nd 0.000 0.789 0.211
Pr 0.500 0.500 0.500
Er 0.711 0.404 0.018
Er 0.000 0.500 0.500
Er 0.711 0.018 0.404


Most stable one: entry i, least stable one: entry ii.


Entry i
The following is a DFT calculation (PBE-GGA) of a relaxed PrNd7Er4 crystal.

## Properties
The value obtained for the density of states at the Fermi level is 19.6 states/eV per cell.

Unit cell a=6.030 b=9.736 c=8.630 alpha=62.17 beta=69.55 gamma=71.96
Each line ends with the local moment (μB).
Sites, in units of the cell vectors:
Nd 0.500 0.000 0.000  0.05
- - -
52    461.013(6), when an investigation of any subject is undertaken,
53    the department shall promptly furnish to the subject or the
54    subject's attorney a copy of the complaint or document that
55    resulted in the initiation of the investigation. The subject may
56    submit a written response to the information contained in such
57    complaint or document within 20 days after service to the
58    subject of the complaint or document. The subject's written
59    response shall be considered by the probable cause panel. The
60    right to respond does not prohibit the issuance of a summary
61    emergency order if necessary to protect the public. However, if
62    the secretary, or the secretary's designee, and the chair of the
63    respective board or the chair of its probable cause panel agree
64    in writing that such notification would be detrimental to the
65    investigation, the department may withhold notification. The
66    department may conduct an investigation without notification to
67    any subject if the act under investigation is a criminal
68    offense.
69          Section 2. This act shall take effect upon becoming a law.